Six Conflict Conversation Starters

Ethnic mother talking to daughter with gardening tools

I can count the number of times I’ve sat in silence with someone, building up the courage to begin a tough conversation. It takes me a few minutes to commit to the conversation, knowing I want to share how I’m feeling and ask them what’s going on for them. In tough conversations, it often takes time for me to think about what I want to say and just exactly how I want to say it. 

Sometimes, we know we want to make things better and address the conflict, but we don’t know how to start. Perhaps we don’t start because we “don’t want to make anything worse,” or we’re afraid of what the other person will think about us. Perhaps we know that engaging in tough conversations demands a lot of our energy and vulnerability, and we’re already exhausted. But we also know that when we don’t address issues, the hurt and resentment we’re feeling can fester and grow. When we want to address a conflict, one of the most courageous things we can do is simply begin.

Things to Consider

When we’re engaging in a tough conversation, it’s important to consider:

  • Our Approach: When I’m entering a challenging conversation, it’s important to ask myself, why am I starting this conversation? Do I want to win or prove I’m right? Or do I want to understand this person better? When we acknowledge we’re approaching a conversation with the goal of understanding, it can help us stay in a space of curiosity and non-judgement when we’re feeling defensive.
  • Our Tone: Our tone can change the meaning of the questions we ask in a conflict situation. When our tone is curious and compassionate, it can help us align our words with our approach. 
  • Our Position: It’s important to ask, Who holds power in this situation? The power we hold, like a role, race, age, gender, and so forth, can change the ways we approach the conversation to make sure we acknowledge and balance power wherever we can.
  • Our Language: We may choose different language, depending on the context of the conversation. With a close friend, I’m more likely to ask, How does that feel for you? Whereas in a professional setting, I might shift that to, How does that land for you? Doing so invites similar reflections within the context of the conversation.

### Unrelated to this article: crystal structures
=====
No. 1
This entry pairs a crystal structure of TmTc with its theoretical PXRD pattern. Radiation: Cu Kα. Structure: a structure optimized by DFT (GGA-PBE).
Lines closer than 0.1° are merged.

Structure:
Lattice parameters (Å, degrees): 4.587 3.908 5.619 90.00 113.86 90.00
Space group P2_1/m (No. 11)
Symmetry-distinct sites (fractional):
Tm  0.141  0.250  0.284 x2
Tc  0.438  0.250  0.874 x2

Most intense lines, 10 to 90 degrees two-theta, in order of falling intensity:
2.858 Å, I = 100; 2.293 Å, I = 34; 2.750 Å, I = 28; 2.740 Å, I = 27; 2.249 Å, I = 25; 2.243 Å, I = 25



No. 2
This entry pairs a crystal structure of Ho2CuHRh6 with its theoretical PXRD pattern. Radiation: Cu Kα. Structure: a structure optimized by DFT (GGA-PBE).
Lines closer than 0.1° are merged.

Structure:
Lattice parameters (Å, degrees): 6.061 6.077 8.580 90.00 90.00 90.00
Space group Immm (No. 71)
Symmetry-distinct sites (fractional):
Ho  0.000  0.000  0.250 x4
Cu  0.000  0.500  0.000 x2
H  0.000  0.500  0.500 x2
Rh  0.000  0.500  0.276 x4
Rh  0.225  0.276  0.500 x8

Most intense lines, 10 to 90 degrees two-theta, in order of falling intensity:
2.477 Å, I = 100; 2.145 Å, I = 65; 1.517 Å, I = 33; 1.293 Å, I = 16; 1.294 Å, I = 16; 3.034 Å, I = 15



No. 3
This entry pairs a crystal structure of Ce4AlIn5 with its theoretical PXRD pattern. Radiation: Cu Kα. Structure: a structure optimized by DFT (GGA-PBE).
Lines closer than 0.1° are merged.

Structure:
Lattice parameters (Å, degrees): 5.758 6.698 7.367 75.27 76.65 71.03
Space group P-1 (No. 2)
Symmetry-distinct sites (fractional):
Ce  0.088  0.426  0.323 x2
Ce  0.272  0.226  0.873 x2
Al  0.500  0.500  0.500 x1
In  0.119  0.914  0.300 x2
In  0.312  0.701  0.890 x2
In  0.500  0.000  0.500 x1

Most intense lines, 10 to 90 degrees two-theta, in order of falling intensity:
2.746 Å, I = 100; 2.657 Å, I = 91; 2.395 Å, I = 35; 2.336 Å, I = 31; 2.288 Å, I = 28; 1.672 Å, I = 23



No. 4
This entry pairs a crystal structure of CrNi5Rh with its theoretical PXRD pattern. Radiation: Cu Kα. Structure: a structure optimized by DFT (GGA-PBE).
Lines closer than 0.1° are merged.

Structure:
Lattice parameters (Å, degrees): 4.964 7.148 4.981 90.00 90.00 90.00
Space group Cmmm (No. 65)
Symmetry-distinct sites (fractional):
Cr  0.000  0.000  0.000 x2
Ni  0.000  0.500  0.000 x2
Ni  0.250  0.250  0.251 x8
Rh  0.000  0.500  0.500 x2

Most intense lines, 10 to 90 degrees two-theta, in order of falling intensity:
2.044 Å, I = 100; 2.039 Å, I = 99; 1.758 Å, I = 61; 4.077 Å, I = 39; 1.253 Å, I = 36; 1.787 Å, I = 32


# NpRhSe
Computed X-ray diffraction stick pattern, λ = 1.5418 Å (Cu Kα). Input: a GGA-PBE-relaxed structure.

Principal peaks in the range 2θ from 10° to 90°, low angle first:
h k l  2θ (°)  I/Imax
1 0 0  30.21  44
1 0 -1  32.03  50
1 0 2  32.34  52
1 1 -1  32.79  51
1 1 2  33.33  39
1 0 -2  35.50  35
0 1 -3  37.01  100
0 1 3  37.45  88
1 1 -3  40.76  32
0 0 6  46.45  35

Crystal structure
=====
### Back to the article

Six Prompts to Begin Tough Conversations

  1. Asking to talk: Do you have a few minutes to talk about this?
  2. Sharing your intentions: I’m hoping that by talking about this we can understand each other better.
  3. When you’re sharing how they’ve made you feel: I feel _____ when_____.
  4. When you’re following up on a conversation: Yesterday, we started talking about_______. I’m wondering where you’re at with this. 
  5. When it’s a recurring issue: I’ve noticed ___. Can you tell me more about that?
  6. When you want to address it, but need to prepare: Hey, I’d really like to talk about this. Do you have some time tomorrow to talk?

How do you begin tough conversations? Tell us in the comments!

Cover photo by Zen Chung from Pexels  

Katie GingerichKatie Gingerich is the founder and director of TREE, and is an active participant of the Kindred Credit Union Centre for Peace Advancement. Since 2012, she has developed peace education programs for camps, community groups, and classrooms, and is passionate about giving youth the tools they need to transform conflict and seek justice.
